-- What to do --
Copy the part of the contents below that starts with the line with "139)" and stops after the one with "0.2500 (multiplicity".
-- Given --
********
First-principles (PBE) data for an optimized crystal structure of Ca2BrF2, as listed in Alexandria.

Lattice parameters (Å, degrees): 4.1520 4.1520 11.7201 90.00 90.00 90.00
Space group I4/mmm (No. 139)
Inequivalent atoms, fractional coordinates:
Ca: 0.0000 0.0000 0.1502 (multiplicity 4)
Br: 0.0000 0.0000 0.5000 (multiplicity 2)
F: 0.0000 0.5000 0.2500 (multiplicity 4)

Summary:
Calculated total energy   -0.172 hartree per atom
M_tot   0.83 μB/f.u.
Energy relative to the elements, uncorrected   -2.795 eV per atom
Offset from the most stable computed form   0 meV/atom
********
-- Completed --
Space group I4/mmm (No. 139)
Inequivalent atoms, fractional coordinates:
Ca: 0.0000 0.0000 0.1502 (multiplicity 4)
Br: 0.0000 0.0000 0.5000 (multiplicity 2)
F: 0.0000 0.5000 0.2500 (multiplicity 4)